A Time to Just Be

A friend contacted me today. We hadn’t spoken since February. She’s an amazing writer, artist and creator of so many things. She explained that she hasn’t been able to create anything since the virus took over our lives.

Between two parts of the piece: quantum chemistry results =
____________
Record 1
This record from the OMol25 dataset describes C23H28GeO7P2PdSe2 as an isolated structure at a distorted geometry. The level of theory is ωB97M-V/def2-TZVPD.

**Gap between HOMO and LUMO (alpha / beta)**: 7.79 / 6.00 eV
**Expectation value of S²**: 6.03
**LUMO (alpha / beta)**: 0.25 / -2.86 eV
**Molecular weight**: 815.37 g mol⁻¹
**Energy relative to the best compared isomer or geometry (same formula, charge and spin)**: 41.7 kcal per mole
**Total energy**: -247904.4797 eV
**HOMO energy (alpha / beta)**: -7.54 / -8.86 eV

Structure (ORCA input):
```
! RIJCOSX wB97M-V def2-TZVPD def2/J DEFGRID3
* xyz 0 5
Pd 0.6532 -1.3277 0.5944
O 2.5110 -0.5470 2.9101
P 2.7546 -2.0812 2.4770
O 3.9005 -2.6356 3.1938
O 2.6276 -2.1270 0.9312
O 1.2864 -2.7063 2.8723
P 0.7765 -4.0429 2.0479
O -0.5450 -4.3932 2.9000
O 1.7539 -5.1306 2.0829
O 0.2353 -3.4663 0.7255
H 3.0956 -0.3551 3.6577
H -0.3303 -5.0657 3.5632
C -4.1972 1.2935 1.7311
Se -1.9858 1.2452 1.7251
C -1.9743 -0.2490 2.9734
C -2.6375 -1.5028 2.4305
Se -2.2434 -1.7743 0.5357
C -2.6627 -3.6611 0.4631
H -4.3927 2.2715 1.3109
H -4.4476 1.2106 2.7834
H -4.5332 0.4702 1.1135
H -2.4739 0.0893 3.8821
H -0.9255 -0.4413 3.2080
H -3.7227 -1.4432 2.5107
H -2.2806 -2.3810 2.9692
H -2.2284 -4.1759 1.3136
H -2.2170 -4.0430 -0.4512
H -3.7456 -3.7638 0.4350
C -0.1029 0.6879 1.1141
Ge 0.4308 1.0679 -0.8014
C -1.1048 0.9842 -1.9717
C -1.6896 -0.1862 -2.4524
C -2.7975 -0.1418 -3.2837
C -3.3493 1.0791 -3.6433
C -2.7862 2.2541 -3.1712
C -1.6728 2.2049 -2.3438
C 1.8952 -0.1206 -1.2736
C 3.1815 0.2265 -0.8164
C 4.2590 -0.5755 -1.1057
C 4.0795 -1.7576 -1.8306
C 2.8293 -2.1217 -2.2803
C 1.7356 -1.3010 -2.0089
C 1.0957 2.8886 -0.7774
C 1.0478 3.7063 0.3467
C 1.5613 4.9973 0.3047
C 2.1282 5.4786 -0.8636
C 2.1820 4.6727 -1.9931
C 1.6703 3.3853 -1.9489
H 0.5994 0.9856 1.8980
H -1.2916 -1.1582 -2.1780
H -3.2347 -1.0622 -3.6479
H -4.2156 1.1138 -4.2907
H -3.2101 3.2108 -3.4464
H -1.2471 3.1353 -1.9897
H 3.3239 1.1267 -0.2296
H 5.2457 -0.3070 -0.7537
H 4.9310 -2.3950 -2.0279
H 2.6912 -3.0411 -2.8315
H 0.7602 -1.5773 -2.4000
H 0.5995 3.3495 1.2664
H 1.5191 5.6262 1.1841
H 2.5314 6.4823 -0.8971
H 2.6255 5.0464 -2.9064
H 1.7281 2.7685 -2.8391
*
```

---

Record 2
This record from the OMol25 dataset describes one molecule with the formula C15H16F3NO4 at a distorted geometry. The level of theory is ωB97M-V/def2-TZVPD.

**Gap between HOMO and LUMO**: 7.38 eV
**LUMO**: -1.78 eV
**Molecular weight**: 331.29 g mol⁻¹
**Energy relative to the best compared isomer or geometry (same formula, charge and spin)**: 233.9 kcal per mole
**Total energy**: -33631.2259 eV
**SMILES**: C=CC1=C(C[C@H]2CO2)C(=O)C(C[C@@H](O)C(F)(F)F)=C(CN)C1=O
**HOMO energy**: -9.16 eV

Structure (ORCA input):
```
! RIJCOSX wB97M-V def2-TZVPD def2/J DEFGRID3
* xyz 0 1
C 0.1320 -0.4115 4.6464
C 1.0275 -0.6496 3.4456
C 0.4222 -0.8564 1.9293
C 1.2609 -0.5576 0.7058
C 2.8045 -0.0061 0.7355
C 3.7444 -1.3484 0.0314
C 4.7226 -0.8869 -1.3266
O 5.2967 -1.2335 0.1750
____________

Zilch. Not a painting. Not a poem. Not a post. No photographs. Nada.

I listened while a herd of children were being menaces in the background. I heard her. I felt her disappointment and frustration. She said that to have been gifted all this time and not create feels like she’s failed the Universe in some way. Somehow she’s got shame.

I suggested that perhaps this time was not about being creative for her. But, it was about just being. Not keeping busy. It was about allowing healing to come through. And the healing didn’t want to transpire into creativity.

There was silence on her end. Even my children were quiet and I found myself breathing the space in between here and there. I found myself channeling that energy of just being. Exactly what I was expressing to her.

I feel that so many have felt disappointed because they didn’t create music, wrote a novel, painted oil on canvas or anything else that was expressed as “if I just had a month off I would do this and that….”

The collective has been so chaotic energetically. Trauma has been a huge theme and many have had to purge old programming. Creativity arrives from a place of divine guidance and if we have been bathed and consumed in heaviness there is little that would come through. The creative process needs sparks of positivity. It needs to rise from ease.

There is time for creativity. There is time for prayers and contemplation. I have had very little energy to create so I get it. But I have been able to do other things. We cannot push what’s not here at this time. We cannot feel guilty for ego scolding us for not doing more. We cannot do what we cannot do while merely living through the most radical times of our lives.

Please forgive yourself for your muses not helping you create. Forgive yourself in thinking you have slacked off on some precious chunk of time; For coming out of quarantine with nothing to show except long gray hair and extra body weight. You don’t have to feel bad about anything because you are still here on this world. You are one of the lucky ones.

Let’s honor ourselves for all that we’ve done or not done the last few months. There may be time tomorrow, or whenever. Love yourself enough to just let go of all expectations. Take this time to manifest a new beginning. May you accept what is and let go of what isn’t.

I love you. And, for those who have done magical things during this time my hat goes off to you. Bravo!